"Identifying and assessing youth volunteer competencies of adult Tennes" by Alison B Leathers

Identifying and assessing youth volunteer competencies of adult Tennesee Master Gardeners

Alison B Leathers, Tennessee State University


Tennessee Master Gardeners are Cooperative Extension volunteers that maintain their certification through required education and volunteer hours. Volunteering with youth is one way Tennessee Master Gardeners fulfill their required hours and contribute to positive youth development. Tennessee Master Gardener manuals and training are heavy in content knowledge, but there are no resources on the skills needed to volunteer with youth. Therefore, the purpose of this research was to identify how Master Gardeners rated the importance of and their ability levels in the skills needed to volunteer with youth. In the Fall of 2014, a stratified random sample of Tennessee Master Gardeners completed a questionnaire constructed using the National 4-H Program's Volunteer Research, Knowledge, and Competency Taxonomy. There were similar demographic findings between Tennessee Master Gardeners and other Master Gardener studies. Master Gardeners primarily volunteered with youth through community or school gardens and through 4-H programs. All 43 skills had means that indicated the skills were either important or of some importance to Master Gardeners. Master Gardeners rated their ability levels in the 43 skills on average as either below average, average, or above average. Mean weighted discrepancy scores were calculated between the importance and ability level of each skill to determine training priorities. Skills related to 4-H program management, educational design and delivery, and positive youth development had the highest mean weighted discrepancy scores. One-way analysis of variance tests found the most significant differences were between a skills' importance or ability level and the demographic variable of education. Parental status, region, and gender had little to no effect on the skill's importance and ability levels. A majority of Tennessee Master Gardeners had volunteered with youth, while some had never volunteered with youth. Training Master Gardeners to volunteer with youth should focus on the skills that had the highest mean weighted discrepancy scores. Training may need to be tailored based on the Master Gardener's educational background. Overall, Tennessee Master Gardeners are important community volunteers that have the potential to impact positive youth development.

Subject Area

Next to the piece, the page also holds materials data >
-- begin --
The following is a computed powder XRD pattern of Li9Mn2Co5O16. It was derived from a structure optimized by DFT (GGA+U), using Cu Kα (weighted mean of Kα1 and Kα2).

```
data_Li9Mn2Co5O16
_space_group_name_H-M_alt 'P 1'
_space_group_IT_number 1
_cell_length_a 5.891
_cell_length_b 5.891
_cell_length_c 9.745
_cell_angle_alpha 97.57
_cell_angle_beta 97.57
_cell_angle_gamma 59.20
loop_
_space_group_symop_operation_xyz
'x,y,z'
loop_
_atom_site_label
_atom_site_fract_x
_atom_site_fract_y
_atom_site_fract_z
Li1 0.000 0.000 0.000
Li2 0.122 0.122 0.754
Li3 0.123 0.630 0.752
Li4 0.370 0.877 0.248
Li5 0.373 0.373 0.246
Li6 0.627 0.627 0.754
Li7 0.630 0.123 0.752
Li8 0.877 0.370 0.248
Li9 0.878 0.878 0.246
Mn1 0.000 0.500 0.000
Mn2 0.500 0.000 0.000
Co1 0.250 0.250 0.500
Co2 0.250 0.750 0.500
Co3 0.500 0.500 0.000
Co4 0.750 0.250 0.500
Co5 0.750 0.750 0.500
O1 0.061 0.061 0.382
O2 0.063 0.563 0.385
O3 0.193 0.660 0.106
O4 0.194 0.194 0.112
O5 0.298 0.298 0.883
O6 0.340 0.807 0.894
O7 0.437 0.937 0.615
O8 0.438 0.438 0.617
O9 0.562 0.562 0.383
O10 0.563 0.063 0.385
O11 0.660 0.193 0.106
O12 0.702 0.702 0.117
O13 0.806 0.806 0.888
O14 0.807 0.340 0.894
O15 0.937 0.437 0.615
O16 0.939 0.939 0.618
```

Principal peaks in the range 10° ≤ 2θ ≤ 90°, low angle first:
18.42 deg, I = 100.0
35.46 deg, I = 15.0
36.11 deg, I = 25.9
37.53 deg, I = 11.3
42.79 deg, I = 29.3
43.94 deg, I = 53.3
47.48 deg, I = 9.5
62.86 deg, I = 14.8
63.15 deg, I = 15.2
80.10 deg, I = 10.0


The following is a computed powder XRD pattern of BaV2SeO8. It was derived from a structure optimized by DFT (GGA+U), using Cu Kα (weighted mean of Kα1 and Kα2).

```
data_BaV2SeO8
_space_group_name_H-M_alt 'P 1'
_space_group_IT_number 1
_cell_length_a 14.192
_cell_length_b 5.462
_cell_length_c 9.236
_cell_angle_alpha 90.00
_cell_angle_beta 90.00
_cell_angle_gamma 90.00
loop_
_space_group_symop_operation_xyz
'x,y,z'
loop_
_atom_site_label
_atom_site_fract_x
_atom_site_fract_y
_atom_site_fract_z
Ba1 0.077 0.250 0.196
Ba2 0.423 0.750 0.696
Ba3 0.577 0.250 0.304
Ba4 0.923 0.750 0.804
V1 0.160 0.750 0.525
V2 0.214 0.750 0.932
V3 0.286 0.250 0.432
V4 0.340 0.250 0.025
V5 0.660 0.750 0.975
V6 0.714 0.750 0.568
V7 0.786 0.250 0.068
V8 0.840 0.250 0.475
Se1 0.102 0.250 0.779
Se2 0.398 0.750 0.279
Se3 0.602 0.250 0.721
Se4 0.898 0.750 0.221
O1 0.016 0.750 0.236
O2 0.047 0.750 0.574
O3 0.111 0.003 0.904
O4 0.111 0.497 0.904
O5 0.192 0.013 0.415
O6 0.192 0.487 0.415
O7 0.198 0.750 0.106
O8 0.224 0.750 0.681
O9 0.276 0.250 0.181
O10 0.302 0.250 0.606
O11 0.308 0.513 0.915
O12 0.308 0.987 0.915
O13 0.389 0.503 0.404
O14 0.389 0.997 0.404
O15 0.453 0.250 0.074
O16 0.484 0.250 0.736
O17 0.516 0.750 0.264
O18 0.547 0.750 0.926
O19 0.611 0.003 0.596
O20 0.611 0.497 0.596
O21 0.692 0.013 0.085
O22 0.692 0.487 0.085
O23 0.698 0.750 0.394
O24 0.724 0.750 0.819
O25 0.776 0.250 0.319
O26 0.802 0.250 0.894
O27 0.808 0.513 0.585
O28 0.808 0.987 0.585
O29 0.889 0.503 0.096
O30 0.889 0.997 0.096
O31 0.953 0.250 0.426
-- stop --
Here the piece continues >

Horticulture|Adult education|Agricultural education

Recommended Citation

Alison B Leathers, "Identifying and assessing youth volunteer competencies of adult Tennesee Master Gardeners" (2015). ETD Collection for Tennessee State University. Paper AAI1592028.
